
Tell It Like It Is: Combined Reporting Improves DC’s Tax System By Making Corporations Disclose Their Profits and Pay Their Fair Share

Mayor Fenty and the DC Council recently approved an important reform to the District’s corporate income tax which will prevent large corporations from avoiding taxes. The law, known as “combined reporting,” is recognized by economists and tax experts as the most comprehensive way for states to stop corporations from abusing tax shelters. A majority of states with corporate income taxes already practice combined reporting; many have had this provision in place for more than 20 years. DC’s Chief Financial Officer has concluded the law, which will go into effect in January 2011, will raise roughly $20 million in revenue annually.

Not surprisingly, combined reporting often faces business opposition. This likely reflects its effectiveness at closing corporate tax loopholes. Since the District’s adoption of combined reporting this summer, the DC law has been attacked by organizations such as the DC Chamber of Commerce and the Council on State Taxation, a trade association of multistate corporations, as well as by individual corporations such as Verizon, Pfizer, and Home Depot.

Combined reporting is important because it promotes tax fairness for the city’s small businesses, which are far less likely than large, nationwide businesses to use tax shelters and other tax avoidance schemes.  The new law should be defended for several reasons:

  • Combined reporting levels the tax-paying field between national and local companies. Without combined reporting, large national and multinationals have a tax advantage by shifting profits earned in DC to states with lower taxes­­’or no taxes at all. While small businesses and local companies that operate only in DC have to pay their fair share of taxes, larger corporations often don’t.
  • Combined reporting will not hurt the District’s business climate. Of the 45 states with a corporate income tax, 23 already have adopted combined reporting. Sixteen have operated with combined reporting for more than 20 years, including California and Illinois. Studies suggest that combined reporting has not affected their economic competitiveness.
  • Combined reporting builds on previous DC efforts to close corporate tax shelters. Elected officials took steps in 2004 and 2009 to close a corporate tax shelter known as the Delaware Holding Company. Using this tax scheme, businesses shift profits to a shell company in the state of Delaware, a state with no corporate income tax. Combined reporting helps close other shelters that are not addressed by previous legislation.
  • A move to eliminate combined reporting would unbalance DC’s budget. Getting rid of combined reporting would create a $20 million budget gap in FY 2012 and beyond.  Recent budget deliberations in the District have focused on the city’s long-term budget problems stemming from the recession, and the need to adopt policies that provide long-term fiscal stability.  Eliminating combined reporting would require cutting local services or raising other local taxes, while keeping taxes low for large national corporations.

Combined Reporting Promotes Tax Fairness

-- Someone pasted materials data at this point --
........
The following is a calculated powder XRD pattern of NaEuP2O7. It was derived from a cell relaxed with PBE, using Cu Kα, 1.54184 Å.
Intensities are scaled so that the largest is 100.

Cell and atoms:
```
data_NaEuP2O7
_chemical_formula_sum 'Na4 Eu4 P8 O28'
_symmetry_space_group_name_H-M 'P 1 21/c 1'
_symmetry_Int_Tables_number 14
_cell_length_a 5.3553
_cell_length_b 8.6167
_cell_length_c 13.7130
_cell_angle_alpha 90.00
_cell_angle_beta 111.61
_cell_angle_gamma 90.00
loop_
_symmetry_equiv_pos_as_xyz
'x,y,z'
'-x,-y,-z'
'-x,y+1/2,-z+1/2'
'x,-y+1/2,z+1/2'
loop_
_atom_site_label
_atom_site_fract_x
_atom_site_fract_y
_atom_site_fract_z
_atom_site_occupancy
Na1 0.1408 0.1155 0.4217 1
Eu1 0.4619 0.1948 0.7332 1
P1 0.0796 0.5060 0.3176 1
P2 0.2300 0.7429 0.9674 1
O1 0.0409 0.1599 0.5855 1
O2 0.1328 0.1679 0.8255 1
O3 0.1885 0.5744 0.4356 1
O4 0.2230 0.0426 0.2316 1
O5 0.2485 0.5773 0.2591 1
O6 0.3114 0.7398 0.0860 1
O7 0.4434 0.6767 0.9293 1
```

Largest 10 diffraction maxima, sorted by position, 2θ from 10° to 80°:
2θ (°)  d [Å]  I_rel  (hkl)
13.9  6.375  100  0 0 2
20.6  4.308  37  0 2 0
21.8  4.082  27  0 2 1
26.5  3.362  72  1 0 2
27.1  3.290  41  1 0 -4
27.4  3.258  54  1 2 0
27.6  3.234  48  1 2 -2
28.0  3.187  26  0 0 4
33.5  2.677  32  2 0 -2
42.5  2.125  55  0 4 1

The following is a calculated powder XRD pattern of Ho2Au5F21. It was derived from a cell relaxed with PBE, using Cu Kα, 1.54184 Å.
Intensities are scaled so that the largest is 100.

Cell and atoms:
```
data_Ho2Au5F21
_chemical_formula_sum 'Ho4 Au10 F42'
_symmetry_space_group_name_H-M 'P -1'
_symmetry_Int_Tables_number 2
_cell_length_a 8.0759
_cell_length_b 9.1485
_cell_length_c 12.0880
_cell_angle_alpha 89.22
_cell_angle_beta 89.00
_cell_angle_gamma 88.98
loop_
_symmetry_equiv_pos_as_xyz
'x,y,z'
'-x,-y,-z'
loop_
_atom_site_label
_atom_site_fract_x
_atom_site_fract_y
_atom_site_fract_z
_atom_site_occupancy
Ho1 0.1648 0.1827 0.0009 1
Ho2 0.1710 0.3168 0.4963 1
Au1 0.0595 0.5086 0.7910 1
Au2 0.0596 0.9850 0.7048 1
Au3 0.3263 0.7227 0.4055 1
Au4 0.3350 0.7766 0.0936 1
Au5 0.4814 0.7498 0.7544 1
F1 0.0000 0.0000 0.0000 1
F2 0.0000 0.5000 0.5000 1
F3 0.0259 0.1308 0.4175 1
F4 0.0505 0.3869 0.0862 1
F5 0.0832 0.1204 0.1884 1
F6 0.0837 0.7352 0.3868 1
F7 0.0891 0.3868 0.3111 1
F8 0.0929 0.7456 0.0907 1
F9 0.1645 0.1008 0.8190 1
F10 0.1866 0.4062 0.6740 1
F11 0.1997 0.0925 0.5976 1
F12 0.2018 0.4005 0.8961 1
F13 0.3025 0.7308 0.8627 1
F14 0.3152 0.7567 0.6403 1
F15 0.3226 0.9787 0.0298 1
F16 0.3275 0.5145 0.4582 1
F17 0.3324 0.9194 0.3450 1
F18 0.3442 0.2263 0.3619 1
F19 0.3553 0.5857 0.1638 1
F20 0.3576 0.2594 0.1227 1
F21 0.4242 0.1990 0.9010 1
F22 0.4316 0.2788 0.5766 1
```

Largest 10 diffraction maxima, sorted by position, 2θ from 10° to 80°:
2θ (°)  d [Å]  I_rel  (hkl)
22.2  4.010  36  1 2 0
22.5  3.949  35  1 -2 0
24.0  3.708  100  0 1 3
24.3  3.669  34  2 -1 0
24.6  3.625  36  0 2 -2
24.9  3.577  31  1 0 -3
26.4  3.379  39  2 0 2
26.8  3.330  43  1 1 -3
27.0  3.307  41  -1 2 2
........

Should a locally-owned clothing store be taxed more than a branch of a national retailer?  Of course, the answer is no.

Yet without combined reporting, national retailers and other corporations often have a distinct tax advantage over local DC businesses. Many national and multinational companies engage in complicated tax-avoidance strategies that artificially shift profits out of jurisdictions where they are earned and put them in states where the business tax rate is lower’or where a corporate income tax doesn’t exist at all.

This occurs because most large multistate corporations are composed of a “parent” corporation and a number of “subsidiary” corporations owned by the parent. Some major retailers, such as Wal-Mart and Toys R Us, have shifted profits earned by subsidiaries to reduce their taxes.

Combined reporting addresses this practice by treating the parent company and its fully-owned subsidiaries as one corporation for state income tax purposes. In other words, the profits made by the parent and subsidiaries are combined and added up together. In a state with combined reporting, the corporate tax is determined by a formula based on the percentage of business operations that take place in that state compared to activity in other states.

The tax avoidance strategies that occur in states without combined reporting are unfair in several ways. They rob states of tax dollars needed to finance roads that customers might travel to stores, schools that educate workers, police and fire departments that provide public safety protection, and other services.

So who picks up the slack when large corporations hide profits by using tax shelters? Individual taxpayers and smaller, locally owned companies who can’t stow away their profits in a different state.

Combined reporting creates a level-playing field, so that large and small, local and national, all pay their fair share. States that adopt combined reporting are following advice long offered by state corporate tax policy experts, who argue that the failure to enact combined reporting is an invitation for businesses to engage in tax avoidance.[i]

States with Combined Reporting Remain Economically Competitive

By adopting combined reporting, DC joined 23 states which already have chosen to implement this key reform. (Forty-five states have a corporate income tax.)  Sixteen of these states have required combined reporting for decades. Recently, momentum has been growing among other states to expand this policy. Since 2004, seven states ‘ West Virginia, New York, Massachusetts, Wisconsin, Michigan, Texas, and Vermont ‘ have adopted combined reporting.

Despite the long existence of combined reporting, corporate interests often warn that adopting this policy will harm a state’s economic prospects.

The evidence proves otherwise. States with combined reporting include some of the most economically-powerful in the country. Of the eight states with corporate income taxes that have seen growth in manufacturing since 1990, seven had combined reporting in effect the entire time, according to a study by the Center on Budget and Policy Priorities. The next two best-performing states, Oregon and Minnesota, also are combined-reporting states.[ii]

Moreover, recent studies by three states considering combined reporting examined the location decisions of large companies in their states.  The studies found that a majority of these businesses maintain facilities in other states with combined reporting. The fact that these companies have chosen to locate in states with combined reporting suggests that they would not move their locations from a jurisdiction that newly adopts combined reporting. [iii]

Finally, corporate income taxes represent a relatively small share of business expenses’usually less than one percent, whether or not a corporation is located in a combined reporting state.  A state’s decision to adopt combined reporting increases that small corporate tax load only slightly. Not surprisingly, a recent study by economists Robert Tannenwald and George Plesko, which measured interstate differences in overall state and local tax costs for corporations, found no statistically significant correlation between those costs and state success in attracting business investment.[iv]

In other words, higher state and local business taxes did not impede business investment.

Combined Reporting Extends DC’s Efforts to Close Corporate Tax Loopholes

The District of Columbia already has taken steps to close corporate tax shelters.  Adopting combined reporting allows it to close such shelters more tightly.

In 2004, DC adopted legislation to nullify an abusive corporate tax shelter frequently referred to as the “Delaware Trademark Holding Company” or “Passive Investment Company” (PIC) shelter. Updated legislation to close the same tax shelter was adopted in 2009.

This is how this tax scheme works: A corporation transfers ownership of its trademarks and patents to a subsidiary corporation located in a state that does not tax royalties such as Delaware or Nevada.  The out of state profits are disguised as royalty fees paid for the use of the trademark or patent in the Delaware corporation. For example, Toys R Us created a separate entity for its logo that was incorporated in Delaware. All Toys R Us stores paid royalties to the Delaware corporation, shifting profits away from the states where they were earned.

DC and some states have taken steps to close this specific tax shelter, but combined reporting is needed to address such profit-shifting strategies more comprehensively.  If states were to rely on closing only the Delaware Holding Company, they remain susceptible to other tax shelters abuses. [v]

Conclusion: Combined Reporting Asks Business to Pay Its Fair Share and Provide Revenue for Critical Services

At its essence, combined reporting closes a gaping corporate tax loophole.

It’s about fairness. If companies don’t pay their full tax burden, there’s less money to fund critical city services these businesses rely on to create a healthy business climate, as well as money for other services that residents need.

For these reasons, the District should retain the combined reporting requirement it passed in July.

[i] Michael Mazerov, A Majority of States Have Now Adopted a Key Corporate Tax Reform ‘ “Combined Reporting”, Center on Budget and Policy Priorities, Revised April 3, 2009.

[ii] See: Michael Mazerov, “Most Large North Carolina Manufacturers Are Already Subject to “˜Combined Reporting’ in

Other States,” Center on Budget and Policy Priorities, January 2008, Table 1, p. 6. Available at


[iii] See the study cited in Note ii. See also: Michael Mazerov, “Almost All Large Iowa Manufacturers Are Already

Subject to “˜Combined Reporting’ in Other States; Fears of Job Flight from Reducing Corporate Tax Avoidance Are

Unwarranted,” Center on Budget and Policy Priorities, April 2008, available at See also:

Jack Norman, “Combined Reporting: How Closing Corporate Loopholes Benefits Wisconsin,” Institute for Wisconsin’s

Future, February 2009, available at


[iv] George A. Plesko and Robert Tannenwald, Measuring the Incentive Effects of State Tax Policies Toward Capital Investment, Federal Reserve Bank of Boston Working Paper 01-4, December 3, 2001.

[v] For example, businesses can set up a tax shelter, known as a “captive real estate investment trust,” that acts in many likes like the Delaware Holding Company shelter. Yet legislation to close the Delaware Holding Company shelter would not affect that captive real estate investment trust shelter.